Activity:
Find the line further down that holds "Sites, in", then set down that line and all lines after it there.

Listing:
A relaxed structure of U2Bi2O7. Source: Materials Project, functional PBE.

a = 7.622 Å, b = 3.827 Å, c = 11.197 Å
α = 90.00°, β = 90.00°, γ = 90.00°
Sites, in units of the cell vectors:
U (0.000, 0.000, 0.000)
U (0.250, 0.500, 0.245)
U (0.500, 0.000, 0.000)
U (0.750, 0.500, 0.755)
Bi (0.000, 0.000, 0.500)
Bi (0.250, 0.500, 0.738)
Bi (0.500, 0.000, 0.500)
Bi (0.750, 0.500, 0.262)
O (0.013, 0.500, 0.367)
O (0.015, 0.500, 0.118)
O (0.250, 0.000, 0.122)
O (0.250, 0.000, 0.347)
O (0.250, 0.000, 0.894)
O (0.485, 0.500, 0.118)
O (0.487, 0.500, 0.367)
O (0.513, 0.500, 0.633)
O (0.515, 0.500, 0.882)
O (0.750, 0.000, 0.106)
O (0.750, 0.000, 0.653)
O (0.750, 0.000, 0.878)
O (0.985, 0.500, 0.882)
O (0.987, 0.500, 0.633)

Computed properties:

Response:
Sites, in units of the cell vectors:
U (0.000, 0.000, 0.000)
U (0.250, 0.500, 0.245)
U (0.500, 0.000, 0.000)
U (0.750, 0.500, 0.755)
Bi (0.000, 0.000, 0.500)
Bi (0.250, 0.500, 0.738)
Bi (0.500, 0.000, 0.500)
Bi (0.750, 0.500, 0.262)
O (0.013, 0.500, 0.367)
O (0.015, 0.500, 0.118)
O (0.250, 0.000, 0.122)
O (0.250, 0.000, 0.347)
O (0.250, 0.000, 0.894)
O (0.485, 0.500, 0.118)
O (0.487, 0.500, 0.367)
O (0.513, 0.500, 0.633)
O (0.515, 0.500, 0.882)
O (0.750, 0.000, 0.106)
O (0.750, 0.000, 0.653)
O (0.750, 0.000, 0.878)
O (0.985, 0.500, 0.882)
O (0.987, 0.500, 0.633)

Computed properties: